10 minute read
Faculty & Staff News
Fond Farewells
Four long-standing members of the Harvey faculty and staff are retiring or moving on to new adventures at the end of the 2021-22 school year. We wish them all that best and know we will miss them!
Amie Phillips
Between two parts of the entry: data records >
1.
Structure and calculated powder X-ray diffraction pattern of BaAlBO3F2 (a cell relaxed with GGA-PBE; Cu Kα (λ = 1.5418 Å)).
Kinematic intensities with the Lorentz-polarization factor, no thermal factor.

Most intense lines, 10° ≤ 2θ ≤ 90°, by intensity:
2θ (°)	Rel. int.
27.92	100
36.42	45
41.12	41
20.79	39
46.51	21
53.17	20
60.47	20
37.36	19
43.14	18
61.76	14

Atomic structure:
Lattice parameters (Å, degrees): 4.934 4.934 9.628 90.00 90.00 120.00
Fractional coordinates of all 16 atoms:
Ba 0.000 0.000 0.000
Ba 0.000 0.000 0.500
Al 0.333 0.667 0.250
Al 0.667 0.333 0.750
B 0.333 0.667 0.750
B 0.667 0.333 0.250
O 0.056 0.384 0.750
O 0.328 0.944 0.750
O 0.384 0.056 0.250
O 0.616 0.672 0.750
O 0.672 0.616 0.250
O 0.944 0.328 0.250
F 0.333 0.667 0.056
F 0.333 0.667 0.444
F 0.667 0.333 0.556
F 0.667 0.333 0.944



2.
Structure and calculated powder X-ray diffraction pattern of BaAlBO3F2 (a cell relaxed with GGA-PBE; Cu Kα (λ = 1.5418 Å)).
Kinematic intensities with the Lorentz-polarization factor, no thermal factor.

Most intense lines, 10° ≤ 2θ ≤ 90°, by intensity:
2θ (°)	Rel. int.
27.92	100
36.43	43
20.79	39
41.12	39
46.51	23
60.47	20
53.16	19
37.34	19
43.12	18
61.73	14

Atomic structure:
Lattice parameters (Å, degrees): 4.933 4.933 9.632 90.00 90.00 120.00
Fractional coordinates of all 16 atoms:
Ba 0.000 0.000 0.000
Ba 0.000 0.000 0.500
Al 0.333 0.667 0.250
Al 0.667 0.333 0.750
B 0.333 0.667 0.750
B 0.667 0.333 0.250
O 0.056 0.384 0.750
O 0.329 0.944 0.750
O 0.384 0.329 0.250
O 0.616 0.671 0.750
O 0.671 0.056 0.250
O 0.944 0.616 0.250
F 0.333 0.667 0.056
F 0.333 0.667 0.444
F 0.667 0.333 0.556
F 0.667 0.333 0.944



3.
Structure and calculated powder X-ray diffraction pattern of Be2AlB (a cell relaxed with GGA-PBE; Cu Kα (λ = 1.5418 Å)).
Kinematic intensities with the Lorentz-polarization factor, no thermal factor.

Most intense lines, 10° ≤ 2θ ≤ 90°, by intensity:
2θ (°)	Rel. int.
27.52	100
39.70	50
34.38	49
40.79	48
49.97	36
37.16	36
47.40	25
53.69	25
52.36	24
38.08	24

Atomic structure:
Lattice parameters (Å, degrees): 3.584 4.996 5.378 110.76 102.05 104.31
Fractional coordinates of all 8 atoms:
Be 0.016 0.206 0.182
Be 0.473 0.910 0.650
Be 0.527 0.090 0.350
Be 0.984 0.794 0.818
Al 0.213 0.334 0.709
Al 0.787 0.666 0.291
B 0.460 0.174 0.025
B 0.540 0.826 0.975



4.
Structure and calculated powder X-ray diffraction pattern of BeAlBO3F2 (a cell relaxed with GGA-PBE; Cu Kα (λ = 1.5418 Å)).
Kinematic intensities with the Lorentz-polarization factor, no thermal factor.

Most intense lines, 10° ≤ 2θ ≤ 90°, by intensity:
2θ (°)	Rel. int.
29.26	100
18.90	73
38.83	71
43.52	54
22.13	47
38.34	42
70.30	26
72.92	23
55.71	22
45.14	19

Atomic structure:
Lattice parameters (Å, degrees): 4.639 4.639 4.695 90.00 90.00 120.00
Fractional coordinates of all 8 atoms:
Be 0.000 0.000 0.000
Al 0.667 0.333 0.284
B 0.333 0.667 0.137
O 0.043 0.682 0.143
O 0.318 0.361 0.143
O 0.639 0.957 0.143
F 0.000 0.000 0.691
F 0.667 0.333 0.638



5.
Back to the entry >
What has Amie Phillips not done at Harvey? She finishes her career as the mathematics department chair, Upper School math teacher, and varsity softball coach. In addition, she’s been the co-coordinator of the Equestrian Riding Program, varsity girls soccer assistant coach, advisor to the Fantasy Sports Club and Cooking Club, new teacher mentor, and a participant on the admissions committee and athletic director hiring committee. On top of all that, she’s a Harvey parent herself!
Mrs. Phillips is not sure of her next chapter, but she will find it in Lexington, Virginia, where she is moving with her husband, Greg Phillips, head of security at Harvey. “I plan to take a few months to decompress and enjoy relaxing by the Maury River,” says Mrs. Phillips. “We hope to have a garden and a few chickens at our house to keep us busy while we decide on our next steps.”
She will definitely miss the relationships that she has made with some of the faculty during the last 17 years. She will also miss teaching students to appreciate math and showing them that they can be a mathematician even when they have not had success in past classes. “I know that the relationships I have made with current students and alumni will continue into the future,” Mrs. Phillips says.
One of her favorite memories at Harvey is one of her first, which she regularly shared with new teachers. While teaching in public school, she often had 30 students per class and didn’t get to know many of them well. On her first day at Harvey, she had the following conversation with one of her students:
Liz: “Mrs. Phillips, where do you live?” Mrs. Phillips: “I live in Dutchess County, which is about an hour north of Harvey.” Liz: “Oh, ok.” Mrs. Phillips: “Why were you asking?” (Thinking she was going to egg my house or something!) Liz: “In case I need extra help at night, I wanted to know how far away you were. But it will be too far.” Mrs. Phillips went home that night and told her husband that “I had no idea where I was now teaching but apparently students come to teachers’ homes for extra help.”
“Amie has been an incredible presence on our campus and in our community since her arrival,” says Head of Upper School Phil Lazzaro. “Her work, both in the classroom and in the softball and equestrian communities, has had an impact beyond words. I appreciate all she has given to the students in our community,” Mr. Lazzaro says.
As she transitions to a more relaxed pace, Mrs. Phillips plans to visit her son Connor ’18 in Georgia, where he was commissioned after graduating in May from the Virginia Military Institute. She also looks forward to daughter Erin ’22 attending Virginia Tech in the fall, where Mrs. Phillips will enjoy attending her horse shows.
## Crystal structures from another source follow
This entry pairs a crystal structure of Rb4NaBr5 with its simulated powder diffraction line list. Radiation: Cu Ka. Structure: the GGA-PBE geometry in Alexandria.
Kinematic intensities with the Lorentz-polarization factor, no thermal factor.

Atomic structure:
```
Rb4NaBr5
1.0
2.4022 1.3869 19.8176
-2.4022 1.3869 19.8176
0.0000 -2.7738 19.8176
Rb Na Br
4 1 5
Direct
0.1051 0.1051 0.1051 Rb
0.2981 0.2981 0.2981 Rb
0.7019 0.7019 0.7019 Rb
0.8949 0.8949 0.8949 Rb
0.5000 0.5000 0.5000 Na
0.0000 0.0000 0.0000 Br
0.1926 0.1926 0.1926 Br
0.4039 0.4039 0.4039 Br
0.5961 0.5961 0.5961 Br
0.8074 0.8074 0.8074 Br
```

Principal peaks in the range 2θ from 10° to 90°, by intensity:
d/Å, Rel. int.
3.409, 100
2.402, 41
2.419, 30
1.964, 20
1.520, 18
2.677, 11

~~~~~

No. 1
This entry pairs a crystal structure of Pm4Tm6Th with its computed X-ray diffraction stick pattern. Radiation: Cu Kα, 1.54184 Å. Structure: a structure optimized by DFT (GGA-PBE).

Cell and atoms:
abc: 8.646 8.646 9.500
angles: 90.00 90.00 90.00
Space group P4/mnc (No. 128)
Asymmetric unit:
Pm 0.147 0.353 0.250
Tm 0.000 0.000 0.163
Tm 0.140 0.660 0.000
Th 0.000 0.000 0.500

Largest 10 diffraction maxima, sorted by position, 5 to 70 degrees two-theta:
- (2 2 0), 29.21°, I 12
- (2 1 2), 29.79°, I 100
- (1 0 3), 30.05°, I 14
- (3 1 0), 32.75°, I 67
- (2 1 3), 36.68°, I 23
- (0 0 4), 37.89°, I 12
- (4 2 0), 47.00°, I 12
- (3 1 4), 50.93°, I 13
- (5 2 2), 60.91°, I 19
- (2 1 6), 63.49°, I 12

---

No. 2
This entry pairs a crystal structure of Pm5Tm5Th2 with its computed X-ray diffraction stick pattern. Radiation: Cu Kα, 1.54184 Å. Structure: a structure optimized by DFT (GGA-PBE).

Cell and atoms:
abc: 15.182 5.039 11.339
angles: 90.00 116.85 90.00
Space group C2/m (No. 12)
Asymmetric unit:
Pm 0.000 0.000 0.000
Pm 0.081 0.000 0.749
Pm 0.250 0.000 0.253
Tm 0.000 0.500 0.500
Tm 0.085 0.500 0.255
Tm 0.167 0.500 0.002
Th 0.168 0.000 0.498

Largest 10 diffraction maxima, sorted by position, 5 to 70 degrees two-theta:
- (3 1 -3), 30.59°, I 100
- (3 1 1), 30.71°, I 99
- (6 0 -2), 35.49°, I 67
- (0 2 0), 35.64°, I 33
- (6 2 -2), 51.18°, I 60
- (9 1 -5), 60.63°, I 29
- (3 3 -3), 60.86°, I 43
- (3 3 1), 60.97°, I 14
- (6 2 -6), 63.67°, I 13
- (6 2 2), 63.96°, I 12

---

No. 3
This entry pairs a crystal structure of PmTm12Th7 with its computed X-ray diffraction stick pattern. Radiation: Cu Kα, 1.54184 Å. Structure: a structure optimized by DFT (GGA-PBE).

Cell and atoms:
abc: 11.8629 11.8629 15.8779
angles: 90.00 90.00 120.00
Space group R-3 (No. 148, hexagonal axes)
Asymmetric unit:
Pm 0.0000 0.0000 0.0000
Tm 0.0185 0.5763 0.7196
Tm 0.0485 0.4608 0.0843
Th 0.0000 0.0000 0.5000
Th 0.0528 0.8685 0.7910

Largest 10 diffraction maxima, sorted by position, 5 to 70 degrees two-theta:
- (0 2 4), 28.42°, I 14
- (0 1 5), 29.44°, I 25
- (0 3 3), 31.11°, I 33
- (1 3 1), 31.91°, I 100
- (3 -1 4), 32.25°, I 42
- (2 0 5), 33.17°, I 17
- (4 -1 2), 33.41°, I 58
- (1 2 8), 51.73°, I 13
- (1 4 6), 53.57°, I 13
## The text goes on
Many well wishes on this new chapter in your lives, Amie and Greg!
Rosana Lindoro
During the last 19 years, Rosana Lindoro has taught Spanish; coached Middle School girls soccer, varsity girls lacrosse, and girls soccer; and supervised the Fitness Center after school. In the fall, she plans to work as a Spanish/ESL teacher and also teach adult education at a local community college until she formally retires in a few years.
“My favorite memories are the trips I was fortunate to take with my students where I got to know them as people and not just students,” shared Ms. Lindoro. Another favorite memory is forming the Spanish Honors Society and instituting the yearly induction ceremony. “The students were so proud!”
She will miss the spontaneity of the Harvey students, the small classes, and her fellow teachers who are always friendly and helpful. “I will miss Mrs. Smith as she was the first person who welcomed me to Harvey, and my buddies Ms. Pilar Menacho and Ms. Maria Cal who have been there in my highs and lows,” said Ms. Lindoro.
Languages Chair Tim Cornell will miss having Ms. Lindoro as a colleague and as his friend. “We both started at Harvey in 2003 and soon became friends,” said Mr. Cornell. “I could always rely on Rosana as someone to help out when needed. Her professionalism and organizational skills helped tremendously, and she graciously opened her home a couple of times as a homestay family for a teacher visiting from Japan. I will miss her friendship and dedication to the craft of teaching,” he said. “Harvey won’t be the same without you!”
Ms. Lindoro is looking forward to a nice and restful summer, as well as traveling with her daughter to Colombia. When she finally does retire, she plans to spend time volunteering and gardening.
Best wishes, Rosana!

Chris Romanowicz
For more than 25 years, Chris Romanowicz has given so much to The Harvey School. She served as a dorm parent, which she loved, and supervised faculty and student visits and applications. She has been the school receptionist; taken student attendance; and, with the departure of Char Stark in 2015, multitasked as receptionist, book manager, and attendance. In the past, she has helped with all aspects of planning commencement ceremonies. Mrs. Romanowicz has also beautified the campus by planting flowers at the front entrance and performed other gardening work.
“Need a document spell-checked? Signs laminated? Even a gift wrapped? Chris was there to pitch in and help!” said Michelle Morris, assistant to the head of school. “In addition to taking care of attendance, answering phone calls, and running the bookstore, Chris stepped up to help with any task when needed. She has been my support system at Harvey and will be greatly missed!”
Mrs. Romanowicz’s retirement will take her to Middletown, Maryland, to enjoy being closer to family and find new adventures. It will be much different than Katonah. “The Appalachian Trail is in our backyard, and, across the street you’ll find Washington State Park,” Mrs. Romanowicz says.
“I’ve always found the Harvey students to be spirited and inquisitive,” says Mrs. Romanowicz. “I will miss their energy and the challenges of what comes next at Harvey, and how I would have helped.”
Mrs. Romanowicz will be missed by many. “Enjoy this new chapter of your life with your family,” says Mrs. Joanne Lombardi, Assistant to Middle School Division Head. “I hope it is filled with good health, happiness, and exciting new adventures.”
It is difficult for Mrs. Romanowicz to name just one favorite memory during her 25 years at Harvey because she says things are always changing, evolving, and improving. “I do feel like I’m leaving Harvey in good hands,” she says.
We will miss you in the book store! Best wishes and happy adventures, Chris!
faculty + staff NEWS
Effie Afentoulides
........
Simulated powder diffractogram of TcHgCl4 for Cu Ka, from a DFT-relaxed cell (GGA-PBE, Alexandria).

Largest 10 diffraction maxima, sorted by position, 5° ≤ 2θ ≤ 70°:
2θ 12.93, 6.849 Å, intensity 100, (0 0 1)
2θ 15.82, 5.601 Å, intensity 17, (1 0 -1)
2θ 20.55, 4.323 Å, intensity 9, (1 1 -1)
2θ 22.53, 3.946 Å, intensity 12, (1 1 0)
2θ 25.80, 3.454 Å, intensity 16, (1 -2 0)
2θ 26.10, 3.414 Å, intensity 14, (2 0 -1)
2θ 26.24, 3.396 Å, intensity 30, (2 0 0)
2θ 28.19, 3.166 Å, intensity 17, (0 2 -2)
2θ 33.01, 2.713 Å, intensity 23, (-1 2 1)
2θ 36.45, 2.465 Å, intensity 19, (0 2 -3)

abc: 7.4131 7.5670 7.7381
angles: 113.62 95.61 108.47
Space group P-1 (No. 2)
Asymmetric unit:
Tc  0.1612  0.0629  0.0452
Hg  0.3014  0.6316  0.0986
Cl  0.2327  0.9780  0.2966
Cl  0.2397  0.7836  0.8476
Cl  0.2512  0.4073  0.2912
Cl  0.2580  0.2218  0.8414

* * * * *

Record 1
Structure and computed powder diffraction line list of Ga2S3 (the PBE geometry in the Materials Project; Cu Kα X-rays).
Kinematic intensities with the Lorentz-polarization factor, no thermal factor.

Atomic structure:
a b c (Å): 6.524 6.524 6.524
angles (deg): 146.94 60.88 130.43
Element x y z (fractional)
Ga: 0.160 0.000 0.160
Ga: 0.840 0.000 0.840
S: 0.238 0.238 0.000
S: 0.570 0.237 0.334
S: 0.903 0.237 0.666

Top 10 peaks for 10 to 80 degrees two-theta, in order of falling intensity:
2θ 29.1, intensity 1000
2θ 28.9, intensity 866
2θ 47.9, intensity 820
2θ 18.0, intensity 570
2θ 25.3, intensity 255
2θ 57.6, intensity 252
2θ 15.8, intensity 248
2θ 57.9, intensity 220
2θ 49.1, intensity 193
2θ 48.6, intensity 192

---

Record 2
Structure and computed powder diffraction line list of Sm6Cu8P8O3 (the PBE geometry in the Materials Project; Cu Kα X-rays).
Kinematic intensities with the Lorentz-polarization factor, no thermal factor.

Atomic structure:
a b c (Å): 13.431 13.431 5.557
angles (deg): 90.00 90.00 156.15
Element x y z (fractional)
Sm: 0.000 0.500 0.750
Sm: 0.186 0.283 0.234
Sm: 0.283 0.186 0.766
Sm: 0.500 0.000 0.250
Sm: 0.717 0.814 0.766
Sm: 0.814 0.717 0.234
Cu: 0.154 0.846 0.000
Cu: 0.154 0.846 0.500
Cu: 0.345 0.655 0.500
Cu: 0.346 0.654 0.000
Cu: 0.654 0.346 0.000
Cu: 0.655 0.345 0.500
Cu: 0.846 0.154 0.000
Cu: 0.846 0.154 0.500
P: 0.043 0.456 0.249
P: 0.151 0.359 0.745
P: 0.359 0.151 0.255
P: 0.456 0.043 0.751
P: 0.544 0.957 0.751
P: 0.641 0.849 0.255
P: 0.849 0.641 0.745
P: 0.957 0.544 0.249
O: 0.000 0.000 0.000
O: 0.000 0.000 0.500
O: 0.500 0.500 0.000

Top 10 peaks for 10 to 80 degrees two-theta, in order of falling intensity:
2θ 33.0, intensity 1000
2θ 38.4, intensity 797
2θ 24.8, intensity 670
2θ 46.2, intensity 577
2θ 35.1, intensity 567
2θ 58.0, intensity 350
2θ 34.1, intensity 309
2θ 50.8, intensity 270
2θ 58.7, intensity 250
2θ 53.2, intensity 231

---

Record 3
Structure and computed powder diffraction line list of Ho2S3 (the PBE geometry in the Materials Project; Cu Kα X-rays).
Kinematic intensities with the Lorentz-polarization factor, no thermal factor.

Atomic structure:
........
“Every organization has that person, that one person whom everyone turns to for help, for advice, for a hand, for an idea, for an ear, for a shoulder. It’s that person who steadfastly and quietly, day in and day out, gets the job done. The one who, when someone asks, “Who made this beautiful gift, sent these beautiful flowers, remembered my birthday, knew about my promotion?” The answer is always that one individual. They have all the answers, all the history, and all the time in the world … for you. At Harvey, everyone knows that person is Effie Afentoulides,” shares Director of Development Susie Danziger.
Mrs. Afentoulides has worked in the Development Office at Harvey for 15 years, joining in July 2008 as the database manager. She quickly settled in and before long, she was known for her keen eye for detail, her extraordinary work ethic, her warmth, and her baklava. Mrs. Afentoulides moved on to become the office manager; Annual Fund coordinator; the database manager again; and most recently has been the Director of Parent Programs, Events, and Operations. To each of these roles, Mrs. Afentoulides brought her can-do attitude, her infectious smile, and that twinkle in her eye.
When Maya Angelou said — I have learned that people will forget what you said, people will forget what you did, but people will never forget how you made them feel — she had Mrs. Afentoulides in mind. While her words are always filled with kindness, what truly sets her apart from the rest is the way she makes you feel … noticed, like you’ve made a difference, and loved.
With the conclusion of this school year, Mrs. Afentoulides will have put together her last commencement gift bag, her last wine and cheese basket, her last paperless post invitation, her last PA agenda, her last Zoom link, her last alumni association membership card, her last name tag, and her last logo’ed chapstick. When Mrs. Afentoulides closes her computer, turns off the lights, and drives out of the Harvey parking lot for the last time, she will head off to tend her garden, visit Greece, bake cookies, volunteer at her church, and spend time with her family — especially her two beautiful grandchildren.
What will Mrs. Afentoulides miss most? “I will miss my Harvey family — my co-workers, the students, and the parents,” she said. “I will remember Harvey with a smile on my face due to the many relationships I’ve made over the years.” Mrs. Afentoulides is definitely looking forward to having “the luxury of time” to spend doing all the things she loves and doing that with the ones she loves.
Harvey will be a little quieter and a little sad that day, but the impact of her work and her friendship will long live on.
We will miss you, Effie!
Baby News
Harvey nurse Kerby Lewis and her husband, Andrew, welcomed their second son, Nicholas Stephen Cabry, Oct. 29, 2021 weighing in at 8 pounds, 4 ounces, and 19.5 inches long. “We are loving every second with this little guy!” shared Nurse Lewis. Nicholas joins his big brother, Vincent. Harvey Business Office Controller Leigh Tillman and her husband welcomed their second child, Daisy Parker Tillman, March 22, 2022. “Her big brother Archer loves to snuggle with her, and we couldn’t be happier!” shared Ms. Tillman.
Nurse Lewis holding baby Nicholas with her husband and son Vincent Baby Nicholas Ms. Tillman with her husband and baby Daisy Baby Daisy
You Can Leave a Legacy That Changes Lives
You have the power to make a lasting impact on the future of The Harvey School by joining The Herbert Carter Legacy Society, named in honor of the school’s founder. The Society comprises alumni and friends of Harvey who have informed the school that they have included a bequest that names Harvey as a beneficiary. Wills, charitable remainder trusts, and life insurance policies allow you to leave a legacy to benefit Harvey students, while meeting your personal financial goals.
Without reducing your income or diminishing your savings and without legal expense, you can transfer assets from bank investments, retirement, insurance, stock or mutual fund accounts to accomplish your charitable goals. Completing a beneficiary designation form takes only a few minutes, and the impact can last a lifetime — providing today’s students the opportunity to find their passions and become their best selves!
If you are considering a planned gift, please consult with your financial advisor. If Harvey is already in your estate plans, please let us know. We would love to add your name to the growing list of The Carter Society members and recognize your extraordinary generosity.

You can make Harvey a gift of a lifetime.
Herbert Carter Legacy Society Members
Laurence Baschkin ’77 Pieter Catlow ’73 Dan Chapman ’73 John G. Davis ’50 Peter Duncan ’65 Rowena & Barry W. Fenstermacher, Headmaster Emeritus John French ’47 Paul A. Hollos ’52 Gene S. Lasdon Jeannette & Jeffrey Lasdon Patrick O. Peterkin ’78 Gerald J. Pollack Dawn Stuttig Kit Wise ’62
// To discuss leaving a legacy gift, contact Susie Danziger at sdanziger@harveyschool.org.